File.
<<<
For CaMg2Sb, the GGA-PBE geometry in Alexandria gives the simulated powder XRD pattern in this record (λ = 1.5418 Å (Cu Kα)).

Main lines, by angle (2θ from 10° to 90°):
2θ (°), d (Å), I/Imax
18.1, 4.908, 310
19.5, 4.543, 245
26.7, 3.334, 232
33.3, 2.688, 1000
39.7, 2.271, 306
68.0, 1.379, 233

Cell and atoms:
a = 4.5429 Å, b = 4.5429 Å, c = 4.9085 Å
α = 90.00°, β = 90.00°, γ = 90.00°
Element x y z (fractional)
Ca  0.0000  0.0000  0.0000
Mg  0.0000  0.5000  0.5000
Mg  0.5000  0.0000  0.5000
Sb  0.5000  0.5000  0.0000


Record 1
For Mn3Ni20B6, a cell relaxed with GGA-PBE gives the calculated powder X-ray diffraction pattern in this record (Cu Kα).

Largest 10 diffraction maxima, in order of rising 2θ, 2θ from 10° to 90°:
d_spacing  I (rel.)
2.604  7
2.329  22
2.126  26
2.004  100
1.841  20
1.761  29
1.736  14
1.227  20
1.203  13
1.143  8

Structure:
```
data_Mn3Ni20B6
_cell_length_a 10.4156
_cell_length_b 10.4156
_cell_length_c 10.4156
_cell_angle_alpha 90.00
_cell_angle_beta 90.00
_cell_angle_gamma 90.00
_space_group_name_H-M_alt 'F m -3 m'
_space_group_IT_number 225
_space_group_name_Hall '-F 4 2 3'
loop_
_atom_site_label
_atom_site_type_symbol
_atom_site_fract_x
_atom_site_fract_y
_atom_site_fract_z
_atom_site_occupancy
Mn1 Mn 0.0000 0.0000 0.0000 1
Mn2 Mn 0.2500 0.2500 0.2500 1
Ni1 Ni 0.0000 0.1698 0.1698 1
Ni2 Ni 0.1186 0.1186 0.3814 1
B1 B 0.0000 0.0000 0.2704 1
```

Record 2
For Mn5B2P, a cell relaxed with GGA-PBE gives the calculated powder X-ray diffraction pattern in this record (Cu Kα).

Largest 10 diffraction maxima, in order of rising 2θ, 2θ from 10° to 90°:
d_spacing  I (rel.)
2.576  13
2.400  69
2.150  43
2.004  100
1.951  21
1.883  66
1.745  53
1.264  19
1.247  17
1.161  26

Structure:
```
data_Mn5B2P
_cell_length_a 5.5176
_cell_length_b 5.5176
_cell_length_c 10.3043
_cell_angle_alpha 90.00
_cell_angle_beta 90.00
_cell_angle_gamma 90.00
_space_group_name_H-M_alt 'I 4/m c m'
_space_group_IT_number 140
_space_group_name_Hall '-I 4 2c'
loop_
_atom_site_label
_atom_site_type_symbol
_atom_site_fract_x
_atom_site_fract_y
_atom_site_fract_z
_atom_site_occupancy
Mn1 Mn 0.0000 0.0000 0.0000 1
Mn2 Mn 0.1692 0.3308 0.1393 1
B1 B 0.1189 0.3811 0.5000 1
P1 P 0.0000 0.0000 0.2500 1
```
>>>

Assignment.
The reader should reproduce the lines above up to the one that holds "_space_group_IT_number 140", that line included.

Worked solution.
For CaMg2Sb, the GGA-PBE geometry in Alexandria gives the simulated powder XRD pattern in this record (λ = 1.5418 Å (Cu Kα)).

Main lines, by angle (2θ from 10° to 90°):
2θ (°), d (Å), I/Imax
18.1, 4.908, 310
19.5, 4.543, 245
26.7, 3.334, 232
33.3, 2.688, 1000
39.7, 2.271, 306
68.0, 1.379, 233

Cell and atoms:
a = 4.5429 Å, b = 4.5429 Å, c = 4.9085 Å
α = 90.00°, β = 90.00°, γ = 90.00°
Element x y z (fractional)
Ca  0.0000  0.0000  0.0000
Mg  0.0000  0.5000  0.5000
Mg  0.5000  0.0000  0.5000
Sb  0.5000  0.5000  0.0000


Record 1
For Mn3Ni20B6, a cell relaxed with GGA-PBE gives the calculated powder X-ray diffraction pattern in this record (Cu Kα).

Largest 10 diffraction maxima, in order of rising 2θ, 2θ from 10° to 90°:
d_spacing  I (rel.)
2.604  7
2.329  22
2.126  26
2.004  100
1.841  20
1.761  29
1.736  14
1.227  20
1.203  13
1.143  8

Structure:
```
data_Mn3Ni20B6
_cell_length_a 10.4156
_cell_length_b 10.4156
_cell_length_c 10.4156
_cell_angle_alpha 90.00
_cell_angle_beta 90.00
_cell_angle_gamma 90.00
_space_group_name_H-M_alt 'F m -3 m'
_space_group_IT_number 225
_space_group_name_Hall '-F 4 2 3'
loop_
_atom_site_label
_atom_site_type_symbol
_atom_site_fract_x
_atom_site_fract_y
_atom_site_fract_z
_atom_site_occupancy
Mn1 Mn 0.0000 0.0000 0.0000 1
Mn2 Mn 0.2500 0.2500 0.2500 1
Ni1 Ni 0.0000 0.1698 0.1698 1
Ni2 Ni 0.1186 0.1186 0.3814 1
B1 B 0.0000 0.0000 0.2704 1
```

Record 2
For Mn5B2P, a cell relaxed with GGA-PBE gives the calculated powder X-ray diffraction pattern in this record (Cu Kα).

Largest 10 diffraction maxima, in order of rising 2θ, 2θ from 10° to 90°:
d_spacing  I (rel.)
2.576  13
2.400  69
2.150  43
2.004  100
1.951  21
1.883  66
1.745  53
1.264  19
1.247  17
1.161  26

Structure:
```
data_Mn5B2P
_cell_length_a 5.5176
_cell_length_b 5.5176
_cell_length_c 10.3043
_cell_angle_alpha 90.00
_cell_angle_beta 90.00
_cell_angle_gamma 90.00
_space_group_name_H-M_alt 'I 4/m c m'
_space_group_IT_number 140